-- Job --
Type out only the lines underneath with the word "Least" in them.
-- Given --
# AlSbI6, relaxed, DFT r²SCAN
data_AlSbI6
_cell_length_a 10.550
_cell_length_b 10.550
_cell_length_c 7.515
_cell_angle_alpha 109.50
_cell_angle_beta 109.50
_cell_angle_gamma 79.31
_space_group_name_H-M_alt 'P 1'
_space_group_IT_number 1
loop_
_space_group_symop_operation_xyz
'x,y,z'
loop_
_atom_site_label
_atom_site_type_symbol
_atom_site_fract_x
_atom_site_fract_y
_atom_site_fract_z
Al1 Al 0.200 0.200 0.359
Al2 Al 0.800 0.800 0.641
Sb1 Sb 0.198 0.802 0.000
Sb2 Sb 0.802 0.198 0.000
I1 I 0.025 0.714 0.553
I2 I 0.145 0.145 0.983
I3 I 0.220 0.561 0.074
I4 I 0.286 0.975 0.447
I5 I 0.369 0.369 0.543
I6 I 0.439 0.780 0.926
I7 I 0.561 0.220 0.074
I8 I 0.631 0.631 0.457
I9 I 0.714 0.025 0.553
I10 I 0.780 0.439 0.926
I11 I 0.855 0.855 0.017
I12 I 0.975 0.286 0.447
# **Total magnetic moment**: 0.00 Bohr magnetons per cell
# **SG**: C2/m, No. 12
# **Calculated formation energy**: -0.5794 eV/atom

----------

Entry A
VASP calculation (PBE with a Hubbard U) on Li2TiFeO4 after structural relaxation.

Cell and atoms, written as POSCAR:
```
Li2TiFeO4
1.0
6.027 0.000 0.000
3.012 5.230 0.000
2.995 1.586 9.788
Li Ti Fe O
8 4 4 16
direct
0.000 0.000 0.000
0.001 0.992 0.502
0.248 0.746 0.254
0.495 0.999 0.001
0.498 0.501 0.502
0.501 0.493 0.003
0.748 0.246 0.754
0.994 0.500 0.501
0.247 0.252 0.751
0.495 0.003 0.501
0.747 0.752 0.251
0.998 0.502 0.001
0.247 0.251 0.251
0.248 0.751 0.751
0.747 0.751 0.751
0.748 0.251 0.251
0.098 0.631 0.123
0.108 0.161 0.119
0.134 0.594 0.635
0.145 0.131 0.622
0.350 0.371 0.879
0.360 0.911 0.865
0.386 0.343 0.381
0.396 0.872 0.378
0.597 0.132 0.623
0.607 0.662 0.621
0.636 0.093 0.135
0.646 0.631 0.123
0.849 0.871 0.378
0.858 0.412 0.365
0.887 0.842 0.880
0.897 0.371 0.878
```

Values from the calculation:
Magnetization (Bohr magnetons per cell): 16.000
SG: P1

=====

Entry B
VASP calculation (PBE with a Hubbard U) on Li2TiFeO4 after structural relaxation.

Cell and atoms, written as POSCAR:
```
Li2TiFeO4
1.0
5.349 0.000 0.000
0.140 5.869 0.000
1.179 0.341 9.831
Li Ti Fe O
8 4 4 16
direct
0.000 0.000 0.000
0.021 0.254 0.498
0.248 0.505 0.251
0.292 0.756 0.745
0.496 0.005 0.500
0.561 0.257 0.988
0.747 0.496 0.750
0.805 0.759 0.241
0.009 0.760 0.519
0.258 0.258 0.772
0.506 0.762 0.023
0.756 0.264 0.272
0.005 0.499 0.997
0.254 0.010 0.246
0.491 0.506 0.502
0.751 0.993 0.748
0.063 0.252 0.142
0.115 0.989 0.624
0.118 0.504 0.625
0.162 0.752 0.109
0.303 0.758 0.388
0.368 0.004 0.877
0.369 0.490 0.872
0.413 0.261 0.362
0.563 0.240 0.644
0.619 0.994 0.123
0.621 0.508 0.126
0.658 0.742 0.606
0.811 0.745 0.892
0.865 0.011 0.377
0.866 0.494 0.373
0.912 0.247 0.859
```

Values from the calculation:
Magnetization (Bohr magnetons per cell): 0.000
SG: P1

=====

Entry C
VASP calculation (PBE with a Hubbard U) on Li2TiFeO4 after structural relaxation.

Cell and atoms, written as POSCAR:
```
Li2TiFeO4
1.0
5.810 0.000 0.000
2.888 7.332 0.000
2.887 1.796 7.110
Li Ti Fe O
8 4 4 16
direct
0.000 0.000 0.000
0.121 0.376 0.877
0.250 0.252 0.250
0.374 0.625 0.126
0.497 0.502 0.499
0.624 0.874 0.375
0.746 0.750 0.750
0.875 0.125 0.625
0.123 0.877 0.375
0.372 0.127 0.625
0.623 0.376 0.874
0.873 0.626 0.125
0.245 0.751 0.750
0.500 0.005 0.997
0.752 0.247 0.253
0.996 0.499 0.503
0.120 0.658 0.590
0.135 0.089 0.155
0.246 0.501 0.000
0.247 0.000 0.500
0.373 0.340 0.412
0.374 0.909 0.837
0.499 0.750 0.251
0.500 0.250 0.751
0.618 0.593 0.662
0.627 0.164 0.095
0.750 0.501 0.000
0.751 0.001 0.499
0.868 0.844 0.909
0.873 0.409 0.343
0.997 0.251 0.751
0.998 0.751 0.249
```

Values from the calculation:
Magnetization (Bohr magnetons per cell): 0.002
SG: P1

=====

Least stable of them? entry C.

=====

Entry A
VASP calculation (PBE with a Hubbard U) on V2ZnO4 after structural relaxation.

Cell and atoms, written as POSCAR:
```
V2ZnO4
1.0
-3.005 3.025 4.392
3.005 -3.025 4.392
3.005 3.025 -4.392
V Zn O
4 2 8
direct
0.000 0.000 0.000
0.382 0.632 0.750
0.500 0.000 0.500
0.618 0.368 0.250
0.000 0.000 0.500
0.000 0.500 0.000
0.228 0.237 0.991
-- Worked solution --
Least stable of them? entry C.